Chest Fat Burner - Upper Chest Exercise Program For Huge Pecs

By Richard P Jenkins
If you want to lose chest fat and build huge pecs, an upper chest exercise program is the way to go. This article will reveal the best upper chest exercises to burn your chest fat. But first, you need to understand that exercising is only half battle. Your diet is also very important and if you want to turn your man breasts into the kind of huge pecs you can be proud of, you need to pay attention to what you put in your body.
We have all heard the terms man boobs and moobs, but a lot of guys don't realise that excess chest fat is actually a medical condition known as gynecomastia. If you have worked hard to lose weight and tone up, yet still have feminine looking man breasts, then this is the reason. Gynecomastia is believed to be caused by an imbalance between the levels of the hormones testosterone and estrogen in the body. This imbalance is thought to be triggered by a poor diet and lack of exercise, but can also be attributed to anabolic steroids, alcohol and marijuana.
Misplaced molecular data:
┌──
(1)
51
Properties=species:S:1:pos:R:3:forces:R:3 method="wB97M-V/def2-TZVPD" total_charge=0 energy_ev=-32291.37080 e_above_lowest_kcal_mol=375.41 lumo_ev=0.4
C 6.66322 -1.86295 3.04453 4.7 2.9 -5.1
C 6.54681 -0.77827 1.83299 2.0 -2.7 0.2
C 6.17979 -1.48330 0.40978 7.4 0.2 4.2
C 4.87262 -2.00610 0.47893 0.1 -2.2 2.7
C 4.63439 -2.43059 -0.83635 -4.3 -14.6 12.7
O 3.31806 -3.21445 -0.85979 0.4 -0.1 0.7
C 2.23965 -2.48863 -0.86366 1.9 6.4 -4.2
C 1.00341 -2.94726 -1.07976 -0.4 -7.6 1.8
C -0.14328 -2.26343 -1.17299 -5.7 -0.8 0.9
C -0.21398 -0.87809 -1.25685 1.8 -2.0 -1.7
C 1.04980 -0.41617 -1.50163 2.6 4.4 1.1
C 2.33123 -1.00578 -1.35616 -1.4 -1.2 2.7
H 3.21073 -0.27918 -1.15752 -1.5 -1.6 -0.7
H 1.05569 0.72890 -1.49166 0.6 -1.3 -0.6
C -1.42976 -0.10312 -1.43894 -4.7 -11.2 8.4
O -2.47685 -0.73389 -0.75823 3.1 3.1 -3.2
N -1.50160 0.97488 -1.96018 1.2 7.5 -6.9
H -0.60522 1.21291 -2.42976 -1.0 0.3 0.3
C -2.77722 1.74916 -2.46954 1.2 -4.6 4.2
H -3.54560 0.89315 -2.44833 0.9 1.4 -1.2
H -2.48403 2.36446 -3.28859 -0.4 0.2 -0.4
C -2.95729 2.42699 -1.16492 -2.6 6.1 -1.5
O -3.00510 3.74984 -1.32508 0.5 -5.1 1.5
N -3.27573 1.78155 0.01370 1.4 1.0 -6.1
C -3.61329 2.74227 0.90395 -3.1 -1.8 9.7
C -5.21423 2.47289 1.48889 1.7 2.6 2.1
O -5.59165 2.84042 2.72811 1.3 -2.9 -8.3
O -5.85645 1.86035 0.34390 1.8 1.9 5.6
C -7.16413 1.60201 0.75406 -1.9 6.4 -0.2
C -8.02584 2.95133 0.41473 7.3 -2.7 -4.3
H -7.73486 3.74683 0.93507 1.2 3.0 2.8
H -8.96796 2.87955 0.36411 -7.3 -1.1 0.3
H -7.77980 3.29524 -0.68233 -0.1 -0.9 1.7
H -7.41033 0.96789 0.07242 -2.5 -4.7 -3.4
H -7.35868 1.40604 1.75503 0.4 -0.9 1.7
H -3.16028 2.18853 1.87570 -0.6 2.4 -1.1
H -3.45965 3.85001 0.93591 0.4 -1.5 -1.0
H -3.40083 0.73242 0.04670 0.5 1.2 0.0
H -1.17632 -2.83775 -1.07240 2.4 1.2 -0.4
H 0.98080 -4.27665 -0.92567 -0.2 4.2 -0.6
H 5.11731 -3.54714 -0.97701 0.4 2.9 0.5
H 4.73957 -2.17101 -1.63574 2.1 7.4 -15.5
H 4.86987 -2.89615 1.25827 -0.4 1.7 -1.8
H 4.27032 -1.23781 0.84338 -1.6 1.2 0.5
H 7.14430 -2.35641 0.22920 -3.1 2.5 0.3
H 6.33251 -0.69670 -0.25818 0.1 1.0 -1.7
H 5.88393 -0.01276 2.15121 -1.2 0.6 -0.1
H 7.55571 -0.27389 1.86700 -0.9 -0.6 -0.7
H 7.06683 -1.25313 3.76519 0.5 0.7 2.5
H 5.84927 -2.36378 3.17315 -5.2 -2.6 1.5
H 7.41413 -2.60324 2.72537 0.0 0.3 0.2

(2)
47
Properties=species:S:1:pos:R:3:forces:R:3 method="wB97M-V/def2-TZVPD" total_charge=+1 energy_ev=-23551.79072 e_above_lowest_kcal_mol=10.88 lumo_ev=-4.5
C -1.37758 2.31047 -3.03329 -0.2 -0.1 0.0
C -0.94826 1.98605 -1.59277 -1.5 1.4 0.2
N -0.04324 0.92453 -1.47488 1.8 -1.4 0.0
C 0.85943 0.89069 -2.38224 -0.1 0.6 -1.4
C 2.00003 -0.08502 -2.42069 0.3 -0.3 -0.1
C 2.87093 0.30798 -3.63764 0.1 0.1 0.2
C 2.01234 1.29708 -4.44933 -0.7 0.2 0.3
N 0.93923 1.70749 -3.52034 0.2 -0.9 1.1
C -0.15105 2.62055 -3.88520 0.5 -0.1 0.1
H -1.91209 1.45039 -3.45359 0.1 0.0 0.1
H -2.08990 3.14685 -3.05213 0.3 -0.1 0.0
H -0.48088 2.87317 -1.14379 -0.2 0.2 -0.1
H -1.82262 1.76118 -0.96614 0.0 0.2 -0.3
H 2.56046 -0.04191 -1.48070 -0.1 0.0 -0.1
└──
Fortunately, by correcting this hormone imbalance in your body, you can either greatly reduce or eliminate the fatty deposits in your chest altogether. You can do this by stopping any drugs that may be contributing to your gynecomastia and by adjusting your diet and exercise plan. By combining the following chest exercises with a natural gynecomastia supplement you can supercharge your fat loss and melt away that chest fat even faster.
Bench Press (works middle chest muscles)
Incline Bench Press (works upper chest muscles)
Dumbbell Flyes (works upper and middle chest)
Dips (great body weight exercise for the chest and shoulders)
Push Ups (perform as many as possible for 5 repitions)
Perform 3 sets of each exercise with between 8-12 repetitions in each set. Use weights that allow you to complete the movement while still maintaining the proper technique. Leave a rest day in between each work out to allow the body time to repair itself.
High intensity cardio exercise is also a great way to burn chest fat. Try varying your intensity on the exercise bike or treadmill and you will feel the difference for yourself. After you have warmed up for a few minutes, peddle or run flat out for one minute, then return to a normal pace for another minute. Repeat this process five or six times for a very intense cardio routine that will have you dripping with sweat. Performing this routine on alternate days to your chest exercises will give the best results, as your body needs time to rest itself after such intensive exercise.
Get your free copy of my guide to gynecomastia treatment and find out more about gynecomastia pills, chest exercises and surgery. If you would like more tips and advice on how to get rid of your man breasts naturally visit my site at


Anonymous said...

flat bench press only makes your man boobs bigger very bad advice.